[Wanted]
Give back all of the block further below without additions.
[File]
____________
Material: Y6Al2SiS14
Method: DFT, PBE
State: relaxed

Results
formation enthalpy at 0 K	-1.978	eV/atom
electronic total energy	-6.4382	eV per atom
density	3.62	g cm⁻³
symmetry	P3

Cell lengths 9.712, 9.712, 5.970 Å; angles 90.00, 90.00, 120.00 degrees
Positions (direct):
1 Y 0.811 0.701 0.516
2 Y 0.890 0.189 0.516
3 Y 0.299 0.110 0.516
4 Y 0.516 0.964 0.028
5 Y 0.449 0.484 0.028
6 Y 0.036 0.551 0.028
7 Al 0.667 0.333 0.339
8 Al 0.333 0.667 0.442
9 Si 0.000 0.000 0.939
10 S 0.000 0.000 0.297
11 S 0.333 0.667 0.816
12 S 0.089 0.858 0.794
13 S 0.769 0.911 0.794
14 S 0.142 0.231 0.794
15 S 0.236 0.812 0.287
16 S 0.576 0.764 0.287
17 S 0.188 0.424 0.287
18 S 0.910 0.479 0.572
19 S 0.569 0.090 0.572
20 S 0.521 0.431 0.572
21 S 0.431 0.198 0.106
22 S 0.767 0.569 0.106
23 S 0.802 0.233 0.106


Compound: Li2ZrO3
Source: the Materials Project
Functional: meta-GGA r2SCAN
Structure: relaxed

Cell: 5.247 5.247 5.385 Å, 100.90 100.90 118.71°
Positions (direct):
1 O 0.000 0.500 0.000
2 O 0.156 0.308 0.512
3 O 0.308 0.156 0.012
4 O 0.692 0.844 0.988
5 O 0.844 0.692 0.488
6 O 0.500 0.000 0.500
7 Li 0.740 0.260 0.250
8 Li 0.424 0.576 0.250
9 Li 0.576 0.424 0.750
10 Li 0.260 0.740 0.750
11 Zr 0.091 0.909 0.250
12 Zr 0.909 0.091 0.750

Computed properties:
As for the energy relative to the elements: -3003.8 meV per atom. The total energy comes out at -10.5773 eV per atom. The magnetization is 0.00 μB per cell.


DFT (GGA+U) results for an optimized crystal structure of NiPO4.

Values from the calculation:
Space-group type: Cc, No. 9
MP2020-corrected energy (eV/atom): -6.67
DFT formation energy (eV/atom): -1.50

Cell: 10.059 10.059 17.328 Å, 72.17 72.17 59.26°
Positions (direct):
Ni: 0.001 0.130 0.315
O: 0.345 0.065 0.600
O: 0.218 0.887 0.631
O: 0.227 0.593 0.354
O: 0.484 0.573 0.604
O: 0.259 0.384 0.632
O: 0.831 0.877 0.955
O: 0.723 0.888 0.633
O: 0.838 0.421 0.804
O: 0.378 0.828 0.455
O: 0.117 0.593 0.206
P: 0.688 0.061 0.623
P: 0.563 0.629 0.125
O: 0.757 0.388 0.634
O: 0.331 0.337 0.956
P: 0.437 0.875 0.874
O: 0.841 0.922 0.803
O: 0.839 0.333 0.455
P: 0.629 0.563 0.625
O: 0.984 0.640 0.883
O: 0.330 0.089 0.353
O: 0.089 0.330 0.853
O: 0.337 0.331 0.456
O: 0.593 0.725 0.853
Ni: 0.875 0.249 0.562
O: 0.141 0.981 0.384
P: 0.185 0.059 0.624
O: 0.877 0.831 0.455
Ni: 0.129 0.500 0.813
O: 0.388 0.757 0.134
Ni: 0.249 0.875 0.062
P: 0.434 0.374 0.875
P: 0.059 0.185 0.124
Ni: 0.500 0.129 0.313
O: 0.477 0.499 0.881
O: 0.092 0.829 0.854
O: 0.176 0.087 0.057
O: 0.340 0.435 0.804
O: 0.593 0.117 0.706
O: 0.087 0.176 0.557
Ni: 0.748 0.814 0.062
O: 0.671 0.687 0.053
Ni: 0.130 0.001 0.815
O: 0.086 0.608 0.709
O: 0.670 0.185 0.056
O: 0.573 0.484 0.104
O: 0.107 0.091 0.209
O: 0.828 0.378 0.955
P: 0.558 0.129 0.125
O: 0.588 0.621 0.706
O: 0.499 0.477 0.381
Ni: 0.814 0.748 0.562
P: 0.317 0.933 0.375
P: 0.129 0.558 0.625
Ni: 0.626 0.558 0.812
O: 0.888 0.723 0.133
O: 0.829 0.092 0.354
O: 0.435 0.340 0.304
O: 0.482 0.996 0.881
O: 0.938 0.341 0.304
Ni: 0.314 0.746 0.562
O: 0.984 0.570 0.602
O: 0.725 0.593 0.353
O: 0.333 0.839 0.955
P: 0.817 0.936 0.374
O: 0.091 0.107 0.709
O: 0.846 0.070 0.597
P: 0.936 0.817 0.874
Ni: 0.376 0.242 0.562
O: 0.070 0.846 0.097
Ni: 0.629 0.059 0.813
O: 0.570 0.984 0.102
O: 0.185 0.670 0.556
O: 0.065 0.345 0.100
O: 0.981 0.141 0.884
O: 0.341 0.938 0.804
P: 0.933 0.317 0.875
Ni: 0.059 0.629 0.313
O: 0.922 0.841 0.303
P: 0.875 0.437 0.374
O: 0.421 0.838 0.304
O: 0.593 0.227 0.854
O: 0.887 0.218 0.131
O: 0.588 0.172 0.555
Ni: 0.746 0.314 0.062
P: 0.061 0.688 0.123
O: 0.608 0.086 0.209
P: 0.374 0.434 0.375
O: 0.640 0.984 0.383
Ni: 0.558 0.626 0.312
Ni: 0.242 0.376 0.062
O: 0.687 0.671 0.553
O: 0.384 0.259 0.132
O: 0.996 0.482 0.381
O: 0.621 0.588 0.206
O: 0.172 0.588 0.055


Entry 1:
{
  "formula": "HoMnSn2",
  "functional": "PBE",
  "state": "relaxed",
  "lattice_angstrom": [[10.415, 0.000, 0.000], [0.000, 11.403, 0.000], [0.000, 0.000, 9.002]],
____________
[Solution]
Material: Y6Al2SiS14
Method: DFT, PBE
State: relaxed

Results
formation enthalpy at 0 K	-1.978	eV/atom
electronic total energy	-6.4382	eV per atom
density	3.62	g cm⁻³
symmetry	P3

Cell lengths 9.712, 9.712, 5.970 Å; angles 90.00, 90.00, 120.00 degrees
Positions (direct):
1 Y 0.811 0.701 0.516
2 Y 0.890 0.189 0.516
3 Y 0.299 0.110 0.516
4 Y 0.516 0.964 0.028
5 Y 0.449 0.484 0.028
6 Y 0.036 0.551 0.028
7 Al 0.667 0.333 0.339
8 Al 0.333 0.667 0.442
9 Si 0.000 0.000 0.939
10 S 0.000 0.000 0.297
11 S 0.333 0.667 0.816
12 S 0.089 0.858 0.794
13 S 0.769 0.911 0.794
14 S 0.142 0.231 0.794
15 S 0.236 0.812 0.287
16 S 0.576 0.764 0.287
17 S 0.188 0.424 0.287
18 S 0.910 0.479 0.572
19 S 0.569 0.090 0.572
20 S 0.521 0.431 0.572
21 S 0.431 0.198 0.106
22 S 0.767 0.569 0.106
23 S 0.802 0.233 0.106


Compound: Li2ZrO3
Source: the Materials Project
Functional: meta-GGA r2SCAN
Structure: relaxed

Cell: 5.247 5.247 5.385 Å, 100.90 100.90 118.71°
Positions (direct):
1 O 0.000 0.500 0.000
2 O 0.156 0.308 0.512
3 O 0.308 0.156 0.012
4 O 0.692 0.844 0.988
5 O 0.844 0.692 0.488
6 O 0.500 0.000 0.500
7 Li 0.740 0.260 0.250
8 Li 0.424 0.576 0.250
9 Li 0.576 0.424 0.750
10 Li 0.260 0.740 0.750
11 Zr 0.091 0.909 0.250
12 Zr 0.909 0.091 0.750

Computed properties:
As for the energy relative to the elements: -3003.8 meV per atom. The total energy comes out at -10.5773 eV per atom. The magnetization is 0.00 μB per cell.


DFT (GGA+U) results for an optimized crystal structure of NiPO4.

Values from the calculation:
Space-group type: Cc, No. 9
MP2020-corrected energy (eV/atom): -6.67
DFT formation energy (eV/atom): -1.50

Cell: 10.059 10.059 17.328 Å, 72.17 72.17 59.26°
Positions (direct):
Ni: 0.001 0.130 0.315
O: 0.345 0.065 0.600
O: 0.218 0.887 0.631
O: 0.227 0.593 0.354
O: 0.484 0.573 0.604
O: 0.259 0.384 0.632
O: 0.831 0.877 0.955
O: 0.723 0.888 0.633
O: 0.838 0.421 0.804
O: 0.378 0.828 0.455
O: 0.117 0.593 0.206
P: 0.688 0.061 0.623
P: 0.563 0.629 0.125
O: 0.757 0.388 0.634
O: 0.331 0.337 0.956
P: 0.437 0.875 0.874
O: 0.841 0.922 0.803
O: 0.839 0.333 0.455
P: 0.629 0.563 0.625
O: 0.984 0.640 0.883
O: 0.330 0.089 0.353
O: 0.089 0.330 0.853
O: 0.337 0.331 0.456
O: 0.593 0.725 0.853
Ni: 0.875 0.249 0.562
O: 0.141 0.981 0.384
P: 0.185 0.059 0.624
O: 0.877 0.831 0.455
Ni: 0.129 0.500 0.813
O: 0.388 0.757 0.134
Ni: 0.249 0.875 0.062
P: 0.434 0.374 0.875
P: 0.059 0.185 0.124
Ni: 0.500 0.129 0.313
O: 0.477 0.499 0.881
O: 0.092 0.829 0.854
O: 0.176 0.087 0.057
O: 0.340 0.435 0.804
O: 0.593 0.117 0.706
O: 0.087 0.176 0.557
Ni: 0.748 0.814 0.062
O: 0.671 0.687 0.053
Ni: 0.130 0.001 0.815
O: 0.086 0.608 0.709
O: 0.670 0.185 0.056
O: 0.573 0.484 0.104
O: 0.107 0.091 0.209
O: 0.828 0.378 0.955
P: 0.558 0.129 0.125
O: 0.588 0.621 0.706
O: 0.499 0.477 0.381
Ni: 0.814 0.748 0.562
P: 0.317 0.933 0.375
P: 0.129 0.558 0.625
Ni: 0.626 0.558 0.812
O: 0.888 0.723 0.133
O: 0.829 0.092 0.354
O: 0.435 0.340 0.304
O: 0.482 0.996 0.881
O: 0.938 0.341 0.304
Ni: 0.314 0.746 0.562
O: 0.984 0.570 0.602
O: 0.725 0.593 0.353
O: 0.333 0.839 0.955
P: 0.817 0.936 0.374
O: 0.091 0.107 0.709
O: 0.846 0.070 0.597
P: 0.936 0.817 0.874
Ni: 0.376 0.242 0.562
O: 0.070 0.846 0.097
Ni: 0.629 0.059 0.813
O: 0.570 0.984 0.102
O: 0.185 0.670 0.556
O: 0.065 0.345 0.100
O: 0.981 0.141 0.884
O: 0.341 0.938 0.804
P: 0.933 0.317 0.875
Ni: 0.059 0.629 0.313
O: 0.922 0.841 0.303
P: 0.875 0.437 0.374
O: 0.421 0.838 0.304
O: 0.593 0.227 0.854
O: 0.887 0.218 0.131
O: 0.588 0.172 0.555
Ni: 0.746 0.314 0.062
P: 0.061 0.688 0.123
O: 0.608 0.086 0.209
P: 0.374 0.434 0.375
O: 0.640 0.984 0.383
Ni: 0.558 0.626 0.312
Ni: 0.242 0.376 0.062
O: 0.687 0.671 0.553
O: 0.384 0.259 0.132
O: 0.996 0.482 0.381
O: 0.621 0.588 0.206
O: 0.172 0.588 0.055


Entry 1:
{
  "formula": "HoMnSn2",
  "functional": "PBE",
  "state": "relaxed",
  "lattice_angstrom": [[10.415, 0.000, 0.000], [0.000, 11.403, 0.000], [0.000, 0.000, 9.002]],